(Data)
<<<
Run A
This record from OMol25 describes a structure of composition C20H15AuN4O2. The level of theory is ωB97M-V with the def2-TZVPD basis set.

Cartesian coordinates (Å):
Au (-0.745, 0.971, -0.273)
O (0.906, -1.246, -4.243)
C (2.213, -1.196, -3.926)
C (3.100, -1.959, -4.688)
C (4.449, -1.947, -4.401)
C (4.944, -1.178, -3.350)
C (4.066, -0.424, -2.598)
C (2.696, -0.412, -2.870)
C (1.756, 0.410, -2.061)
O (0.524, 0.386, -2.349)
N (2.302, 1.123, -1.075)
N (1.355, 1.735, -0.322)
C (1.729, 2.746, 0.366)
C (0.786, 3.477, 1.227)
C (1.257, 4.363, 2.192)
C (0.342, 5.034, 2.982)
C (-1.012, 4.798, 2.789)
C (-1.386, 3.900, 1.801)
N (-0.515, 3.263, 1.029)
H (0.457, -0.648, -3.597)
H (2.698, -2.552, -5.497)
H (5.126, -2.540, -5.002)
H (6.002, -1.167, -3.126)
H (4.421, 0.186, -1.778)
H (2.763, 3.073, 0.309)
H (2.321, 4.512, 2.315)
H (0.678, 5.728, 3.741)
H (-1.763, 5.301, 3.380)
H (-2.432, 3.689, 1.611)
N (-2.410, -0.154, 0.378)
C (-2.822, -1.071, 0.932)
C (-3.370, -2.209, 1.619)
C (-2.534, -3.271, 1.952)
C (-3.074, -4.364, 2.607)
C (-4.426, -4.390, 2.920)
C (-5.251, -3.325, 2.585)
C (-4.728, -2.224, 1.930)
H (-1.485, -3.236, 1.696)
H (-2.438, -5.197, 2.872)
H (-4.843, -5.248, 3.430)
H (-6.303, -3.351, 2.832)
H (-5.355, -1.386, 1.659)

## Properties
Molecular weight = 540.333 Da
E_HOMO = -0.272 hartree
Total charge = 0

natural (NBO) atomic charge list, values in e, 8 entries:
1 Au 0.74
2 O -0.69
3 C 0.35
4 C -0.29
5 C -0.17
6 C -0.28
7 C -0.15
8 C -0.18


Run B
This record from OMol25 describes a structure of composition C20H15AuN4O2. The level of theory is ωB97M-V with the def2-TZVPD basis set.

Cartesian coordinates (Å):
Au (-0.291, -0.364, 0.281)
O (-3.179, 3.260, 0.134)
C (-2.821, 3.855, 1.286)
C (-3.648, 4.844, 1.817)
C (-3.316, 5.467, 3.002)
C (-2.150, 5.129, 3.674)
C (-1.323, 4.154, 3.158)
C (-1.646, 3.498, 1.972)
C (-0.790, 2.429, 1.446)
O (-0.960, 1.983, 0.272)
N (0.193, 2.007, 2.245)
N (0.752, 0.885, 1.883)
C (1.922, 0.490, 2.255)
C (2.426, -0.722, 1.683)
C (3.588, -1.348, 2.163)
C (4.094, -2.441, 1.498)
C (3.432, -2.902, 0.362)
C (2.276, -2.257, -0.033)
N (1.785, -1.203, 0.601)
H (-2.419, 2.667, -0.111)
H (-4.539, 5.106, 1.267)
H (-3.964, 6.231, 3.405)
H (-1.890, 5.627, 4.595)
H (-0.407, 3.876, 3.653)
H (2.556, 1.071, 2.920)
H (4.066, -0.962, 3.049)
H (4.991, -2.930, 1.850)
H (3.805, -3.741, -0.202)
H (1.723, -2.577, -0.905)
N (-2.157, -0.766, -0.317)
C (-3.270, -0.456, -0.259)
C (-4.642, -0.196, -0.167)
C (-5.302, -0.518, 1.027)
C (-6.661, -0.310, 1.134)
C (-7.373, 0.214, 0.065)
C (-6.722, 0.540, -1.115)
C (-5.362, 0.339, -1.242)
H (-4.734, -0.923, 1.852)
H (-7.167, -0.552, 2.057)
H (-8.437, 0.372, 0.155)
H (-7.280, 0.958, -1.940)
H (-4.846, 0.592, -2.156)

## Properties
Molecular weight = 540.333 Da
E_HOMO = -0.273 hartree
Total charge = 0

natural (NBO) atomic charge list, values in e, 8 entries:
1 Au 0.79
2 O -0.70
3 C 0.35
4 C -0.29
5 C -0.17
6 C -0.27
7 C -0.15
8 C -0.18


Taking the most stable structure as the zero point, the relative energies in hartree are run A 0.0000; run B 0.0091.


Run A
This record from OMol25 describes a structure of composition C16H31NP2PtSe. The level of theory is ωB97M-V with the def2-TZVPD basis set.

Cartesian coordinates (Å):
P (-0.129, -1.836, -1.589)
P (0.100, 1.919, -1.583)
C (-0.452, -0.591, -2.901)
C (0.368, 0.724, -2.958)
H (-1.539, -0.367, -2.899)
H (-0.235, -1.138, -3.835)
H (1.451, 0.505, -3.004)
H (0.085, 1.285, -3.861)
C (-1.525, 2.614, -2.079)
H (-1.855, 3.329, -1.312)
H (-2.274, 1.811, -2.146)
H (-1.435, 3.118, -3.054)
C (1.295, 3.259, -1.900)
H (1.003, 3.821, -2.801)
H (2.304, 2.848, -2.033)
H (1.300, 3.936, -1.038)
C (-1.189, -3.232, -2.086)
H (-1.172, -4.002, -1.302)
H (-0.860, -3.694, -3.034)
H (-2.234, -2.910, -2.195)
C (1.571, -2.362, -1.868)
H (2.262, -1.510, -1.882)
H (1.649, -2.883, -2.837)
H (1.900, -3.044, -1.073)
Pt (0.191, -0.748, 3.058)
C (0.664, 1.986, 1.649)
C (-0.584, 1.411, 1.853)
C (-1.599, 0.828, 0.863)
C (-1.796, -0.666, 0.521)
C (-0.615, -1.573, 0.089)
>>>
(Request)
It remains to count the lines earlier on that contain the word "hartree" and give the number alone.
(Worked solution)
3